_Entries_
/*
1.
Formula: C9H7F3O2S
Source: OMol25
Level of theory: ωB97M-V with the def2-TZVPD basis set

- Net charge: 0
- Expectation value of S²: 2.0178
- LUMO (alpha / beta): 0.7 / -3.5 eV
- Spin multiplicity: 3
- Gap between HOMO and LUMO (alpha / beta): 0.211 / 0.228 Ha

Positions of all 22 atoms, in Å:
S (-0.1799, 2.3095, -0.2935)
F (-3.8768, 0.1641, 1.0720)
F (-5.1982, -1.2465, 0.1328)
F (-4.1373, 0.1873, -1.0749)
O (0.4489, 3.2090, 0.9753)
O (-1.3569, 1.6290, 0.2118)
C (0.8562, -0.1784, 0.4160)
C (2.3311, 1.1988, -0.8929)
C (-2.0475, -2.3805, -0.1845)
C (3.0432, -0.9723, -0.1566)
C (3.2962, 0.2065, -0.8414)
C (1.1178, 1.0002, -0.2567)
C (1.8241, -1.1668, 0.4711)
C (-4.0154, -0.6096, -0.0075)
C (-2.9251, -1.5684, -0.1497)
H (-0.1089, -0.3076, 0.8844)
H (0.0145, 2.9677, 1.8003)
H (2.5170, 2.1250, -1.4162)
H (-1.2770, -3.0906, -0.2480)
H (4.2468, 0.3510, -1.3333)
H (3.7992, -1.7422, -0.1146)
H (1.6281, -2.0852, 1.0062)

Atomic forces in eV per Å
S 2.86 -2.38 -2.19
F 0.23 0.05 0.05
F 0.16 -0.10 -0.05
F 0.20 0.02 -0.04
O 0.11 1.11 1.08
O -1.98 -0.05 1.11
C -0.88 -0.62 0.64
C 0.69 0.31 -0.47
C -0.65 0.62 -0.07
C 0.29 -0.47 0.07
C -0.35 0.38 -0.07
C -0.60 1.35 -0.74
C -0.08 0.33 -0.15
C -0.76 0.09 -0.01
C 0.39 -0.26 0.15
H 0.03 -0.15 0.09
H -0.26 0.08 0.66
H 0.13 0.05 -0.06
H 0.45 -0.40 -0.03
H 0.03 0.09 -0.04
H 0.06 -0.05 0.01
H -0.07 -0.01 0.06

***

2.
Formula: C12H28BiNO2P2
Source: OMol25
Level of theory: ωB97M-V with the def2-TZVPD basis set

- Net charge: 0
- LUMO: 0.0 eV
- Relative energy (zero: lowest compared OMol25 entry of this formula, charge and spin): 0.0 kJ/mol
- Gap between HOMO and LUMO: 0.204 Ha

Positions of all 46 atoms, in Å:
Bi (1.1790, 0.4444, -0.1051)
P (-0.2395, 1.1918, 2.0604)
P (-0.0297, -0.6240, -2.3003)
O (-3.4329, -1.7978, -0.3635)
O (-3.7003, -0.5892, 2.0129)
N (-1.5020, 1.4763, -0.7168)
C (2.2679, -1.5319, 0.1413)
C (1.3189, -0.6390, -3.5313)
C (-2.0028, 1.3579, -1.9460)
C (-1.2222, 0.5899, -3.0072)
C (-1.8192, 1.8814, 1.6437)
C (-3.2292, 1.9486, -2.2915)
C (0.8146, 2.5663, 2.6652)
C (-0.5182, 0.1624, 3.5387)
C (-0.9268, -2.1747, -2.6092)
C (-3.5022, 2.6393, -0.0122)
C (-2.2582, 2.0171, 0.3037)
C (-3.9752, 2.6130, -1.3119)
H (-3.3269, 0.3260, 2.0446)
H (-4.6315, -0.4949, 2.2695)
H (-4.0550, 3.1050, 0.8011)
H (-1.2575, -2.3413, 1.2442)
H (2.0516, -1.4103, -3.2543)
H (-4.9237, 3.0841, -1.5827)
H (-3.5274, -2.7436, -0.1664)
H (2.3462, -1.6833, 1.2246)
H (1.8036, 2.1889, 2.9641)
H (3.2804, -1.4699, -0.3016)
H (-0.7296, 0.8438, 4.3765)
H (-1.3714, -0.5076, 3.3741)
H (0.9158, 3.3388, 1.8918)
H (-2.4191, 2.3800, 2.4106)
H (-3.5744, 1.8406, -3.3187)
H (0.3843, -0.4225, 3.7570)
H (-1.1087, -2.2608, -3.6929)
H (-1.8845, -2.1871, -2.0728)
H (-0.3058, -3.0170, -2.2798)
H (0.2994, 2.9900, 3.5449)
H (-1.0755, -1.8991, 0.6636)
H (-0.6872, 1.3030, -3.6610)
H (1.8309, 1.9465, -0.8028)
H (1.7070, -2.3383, -0.3272)
H (0.9032, -0.8889, -4.5253)
H (-3.5901, -1.3453, 0.5150)
H (-1.9385, 0.0490, -3.6460)
H (1.8147, 0.3405, -3.5847)

Atomic forces in eV per Å
Bi -2.44 -0.90 -0.55
P -1.58 0.89 1.15
P -0.52 0.02 -1.17
O -0.35 -0.23 0.51
O -0.48 0.59 0.53
N -0.14 -0.38 0.23
C 2.18 -0.41 0.05
C -0.16 -0.34 -0.68
C -1.08 0.95 0.34
C 0.06 0.46 0.09
C 0.23 -0.12 -0.11
C 0.50 -0.62 -0.47
C -0.19 0.05 0.74
C 0.16 0.25 0.43
C 0.13 -0.44 -0.17
C -0.09 0.02 -0.35
C 0.20 -0.26 -0.37
C 0.34 -0.04 0.38
H 0.21 -0.42 -0.27
H 0.35 -0.04 -0.09
H 0.00 -0.03 -0.24
H 0.24 0.20 -0.19
H -0.13 0.26 -0.08
H 0.29 -0.14 0.17
H 0.03 0.45 -0.08
H 0.05 -0.14 -0.28
H -0.18 0.21 -0.04
H -0.39 -0.40 0.35
H -0.03 -0.35 0.04
H 0.28 0.20 -0.01
H -0.03 -0.29 0.19
H 0.27 -0.01 -0.03
H -0.10 0.11 0.25
H -0.24 0.09 0.11
H 0.04 -0.05 0.29
H 0.29 0.14 -0.01
H -0.22 0.07 -0.07
H 0.39 0.13 -0.22
H -0.06 -0.20 0.29
H -0.06 -0.26 0.29
H 1.66 1.25 -0.66
H -0.12 0.13 0.05
H 0.31 0.11 0.27
H 0.30 -0.33 -0.87
H 0.25 0.15 0.17
H -0.15 -0.29 0.11

***

3.
Formula: C5H11BN2O2
Source: OMol25
Level of theory: ωB97M-V with the def2-TZVPD basis set

- Net charge: 0
- LUMO: 0.3 eV
*/

_Wanted_
Next, transcribe the calculation results further up unchanged.

_Written answer_
1.
Formula: C9H7F3O2S
Source: OMol25
Level of theory: ωB97M-V with the def2-TZVPD basis set

- Net charge: 0
- Expectation value of S²: 2.0178
- LUMO (alpha / beta): 0.7 / -3.5 eV
- Spin multiplicity: 3
- Gap between HOMO and LUMO (alpha / beta): 0.211 / 0.228 Ha

Positions of all 22 atoms, in Å:
S (-0.1799, 2.3095, -0.2935)
F (-3.8768, 0.1641, 1.0720)
F (-5.1982, -1.2465, 0.1328)
F (-4.1373, 0.1873, -1.0749)
O (0.4489, 3.2090, 0.9753)
O (-1.3569, 1.6290, 0.2118)
C (0.8562, -0.1784, 0.4160)
C (2.3311, 1.1988, -0.8929)
C (-2.0475, -2.3805, -0.1845)
C (3.0432, -0.9723, -0.1566)
C (3.2962, 0.2065, -0.8414)
C (1.1178, 1.0002, -0.2567)
C (1.8241, -1.1668, 0.4711)
C (-4.0154, -0.6096, -0.0075)
C (-2.9251, -1.5684, -0.1497)
H (-0.1089, -0.3076, 0.8844)
H (0.0145, 2.9677, 1.8003)
H (2.5170, 2.1250, -1.4162)
H (-1.2770, -3.0906, -0.2480)
H (4.2468, 0.3510, -1.3333)
H (3.7992, -1.7422, -0.1146)
H (1.6281, -2.0852, 1.0062)

Atomic forces in eV per Å
S 2.86 -2.38 -2.19
F 0.23 0.05 0.05
F 0.16 -0.10 -0.05
F 0.20 0.02 -0.04
O 0.11 1.11 1.08
O -1.98 -0.05 1.11
C -0.88 -0.62 0.64
C 0.69 0.31 -0.47
C -0.65 0.62 -0.07
C 0.29 -0.47 0.07
C -0.35 0.38 -0.07
C -0.60 1.35 -0.74
C -0.08 0.33 -0.15
C -0.76 0.09 -0.01
C 0.39 -0.26 0.15
H 0.03 -0.15 0.09
H -0.26 0.08 0.66
H 0.13 0.05 -0.06
H 0.45 -0.40 -0.03
H 0.03 0.09 -0.04
H 0.06 -0.05 0.01
H -0.07 -0.01 0.06

***

2.
Formula: C12H28BiNO2P2
Source: OMol25
Level of theory: ωB97M-V with the def2-TZVPD basis set

- Net charge: 0
- LUMO: 0.0 eV
- Relative energy (zero: lowest compared OMol25 entry of this formula, charge and spin): 0.0 kJ/mol
- Gap between HOMO and LUMO: 0.204 Ha

Positions of all 46 atoms, in Å:
Bi (1.1790, 0.4444, -0.1051)
P (-0.2395, 1.1918, 2.0604)
P (-0.0297, -0.6240, -2.3003)
O (-3.4329, -1.7978, -0.3635)
O (-3.7003, -0.5892, 2.0129)
N (-1.5020, 1.4763, -0.7168)
C (2.2679, -1.5319, 0.1413)
C (1.3189, -0.6390, -3.5313)
C (-2.0028, 1.3579, -1.9460)
C (-1.2222, 0.5899, -3.0072)
C (-1.8192, 1.8814, 1.6437)
C (-3.2292, 1.9486, -2.2915)
C (0.8146, 2.5663, 2.6652)
C (-0.5182, 0.1624, 3.5387)
C (-0.9268, -2.1747, -2.6092)
C (-3.5022, 2.6393, -0.0122)
C (-2.2582, 2.0171, 0.3037)
C (-3.9752, 2.6130, -1.3119)
H (-3.3269, 0.3260, 2.0446)
H (-4.6315, -0.4949, 2.2695)
H (-4.0550, 3.1050, 0.8011)
H (-1.2575, -2.3413, 1.2442)
H (2.0516, -1.4103, -3.2543)
H (-4.9237, 3.0841, -1.5827)
H (-3.5274, -2.7436, -0.1664)
H (2.3462, -1.6833, 1.2246)
H (1.8036, 2.1889, 2.9641)
H (3.2804, -1.4699, -0.3016)
H (-0.7296, 0.8438, 4.3765)
H (-1.3714, -0.5076, 3.3741)
H (0.9158, 3.3388, 1.8918)
H (-2.4191, 2.3800, 2.4106)
H (-3.5744, 1.8406, -3.3187)
H (0.3843, -0.4225, 3.7570)
H (-1.1087, -2.2608, -3.6929)
H (-1.8845, -2.1871, -2.0728)
H (-0.3058, -3.0170, -2.2798)
H (0.2994, 2.9900, 3.5449)
H (-1.0755, -1.8991, 0.6636)
H (-0.6872, 1.3030, -3.6610)
H (1.8309, 1.9465, -0.8028)
H (1.7070, -2.3383, -0.3272)
H (0.9032, -0.8889, -4.5253)
H (-3.5901, -1.3453, 0.5150)
H (-1.9385, 0.0490, -3.6460)
H (1.8147, 0.3405, -3.5847)

Atomic forces in eV per Å
Bi -2.44 -0.90 -0.55
P -1.58 0.89 1.15
P -0.52 0.02 -1.17
O -0.35 -0.23 0.51
O -0.48 0.59 0.53
N -0.14 -0.38 0.23
C 2.18 -0.41 0.05
C -0.16 -0.34 -0.68
C -1.08 0.95 0.34
C 0.06 0.46 0.09
C 0.23 -0.12 -0.11
C 0.50 -0.62 -0.47
C -0.19 0.05 0.74
C 0.16 0.25 0.43
C 0.13 -0.44 -0.17
C -0.09 0.02 -0.35
C 0.20 -0.26 -0.37
C 0.34 -0.04 0.38
H 0.21 -0.42 -0.27
H 0.35 -0.04 -0.09
H 0.00 -0.03 -0.24
H 0.24 0.20 -0.19
H -0.13 0.26 -0.08
H 0.29 -0.14 0.17
H 0.03 0.45 -0.08
H 0.05 -0.14 -0.28
H -0.18 0.21 -0.04
H -0.39 -0.40 0.35
H -0.03 -0.35 0.04
H 0.28 0.20 -0.01
H -0.03 -0.29 0.19
H 0.27 -0.01 -0.03
H -0.10 0.11 0.25
H -0.24 0.09 0.11
H 0.04 -0.05 0.29
H 0.29 0.14 -0.01
H -0.22 0.07 -0.07
H 0.39 0.13 -0.22
H -0.06 -0.20 0.29
H -0.06 -0.26 0.29
H 1.66 1.25 -0.66
H -0.12 0.13 0.05
H 0.31 0.11 0.27
H 0.30 -0.33 -0.87
H 0.25 0.15 0.17
H -0.15 -0.29 0.11

***

3.
Formula: C5H11BN2O2
Source: OMol25
Level of theory: ωB97M-V with the def2-TZVPD basis set

- Net charge: 0
- LUMO: 0.3 eV